_Excerpt_
┌──
DFT (PBE) results for a relaxed structure of Zr4Co4Ge7.

a b c (Å): 13.285 13.285 5.251
angles (deg): 90.00 90.00 90.00
Space group I4/mmm (No. 139)
Symmetry-distinct sites (fractional):
1 Zr 0.000 0.196 0.000
2 Zr 0.139 0.139 0.500
3 Co 0.148 0.352 0.250
4 Ge 0.000 0.000 0.251
5 Ge 0.000 0.293 0.500
6 Ge 0.000 0.406 0.000
7 Ge 0.208 0.208 0.000

=====

DFT (PBE) results for a relaxed structure of Na3LaSiGeP2O12.

a b c (Å): 16.414 9.284 22.119
angles (deg): 90.00 93.40 90.00
Space group Cc (No. 9)
Symmetry-distinct sites (fractional):
1 Na 0.000 0.001 0.000
2 Na 0.004 0.320 0.905
3 Na 0.015 0.370 0.250
4 Na 0.026 0.350 0.578
5 Na 0.171 0.493 0.168
6 Na 0.178 0.161 0.413
7 Na 0.336 0.042 0.835
8 Na 0.345 0.318 0.248
9 Na 0.348 0.355 0.584
10 La 0.010 0.011 0.350
11 La 0.182 0.482 0.016
12 La 0.345 0.003 0.180
13 Si 0.032 0.290 0.749
14 Si 0.324 0.337 0.420
15 Si 0.491 0.173 0.589
16 Ge 0.037 0.009 0.640
17 Ge 0.195 0.475 0.812
18 Ge 0.351 0.014 0.478
19 P 0.018 0.377 0.420
20 P 0.157 0.173 0.251
21 P 0.190 0.134 0.573
22 P 0.199 0.194 0.913
23 P 0.347 0.359 0.745
24 P 0.369 0.291 0.085
25 O 0.011 0.212 0.417
26 O 0.013 0.209 0.811
27 O 0.040 0.171 0.690
28 O 0.060 0.414 0.482
29 O 0.061 0.446 0.367
30 O 0.079 0.405 0.085
31 O 0.097 0.118 0.196
32 O 0.111 0.038 0.580
33 O 0.118 0.388 0.758
34 O 0.121 0.133 0.310
35 O 0.140 0.075 0.895
36 O 0.154 0.342 0.247
37 O 0.162 0.292 0.569
38 O 0.165 0.270 0.967
39 O 0.212 0.307 0.860
40 O 0.231 0.076 0.515
41 O 0.245 0.121 0.247
42 O 0.246 0.122 0.629
43 O 0.256 0.393 0.361
44 O 0.269 0.461 0.752
45 O 0.284 0.378 0.482
46 O 0.287 0.130 0.928
47 O 0.301 0.400 0.070
48 O 0.322 0.153 0.416
49 O 0.323 0.199 0.745
50 O 0.360 0.242 0.150
51 O 0.371 0.155 0.042
52 O 0.384 0.421 0.689
53 O 0.402 0.382 0.803
54 O 0.418 0.389 0.416
55 O 0.422 0.131 0.529
56 O 0.431 0.044 0.921
57 O 0.451 0.129 0.651
58 O 0.455 0.368 0.081
59 O 0.457 0.097 0.239
60 O 0.494 0.358 0.590

## Properties
* magnetization: 0.00 μB/f.u.

=====

DFT (PBE) results for a relaxed structure of Y4Fe28BC.

a b c (Å): 12.354 12.355 11.839
angles (deg): 90.00 90.00 90.00
Space group Cmmm (No. 65)
Symmetry-distinct sites (fractional):
1 Y 0.000 0.142 0.000
2 Y 0.000 0.239 0.500
3 Y 0.142 0.500 0.500
4 Y 0.234 0.500 0.000
5 Fe 0.000 0.000 0.392
6 Fe 0.000 0.182 0.255
7 Fe 0.000 0.403 0.300
8 Fe 0.000 0.500 0.116
9 Fe 0.098 0.000 0.205
10 Fe 0.105 0.329 0.127
11 Fe 0.161 0.302 0.325
12 Fe 0.170 0.104 0.380
13 Fe 0.184 0.500 0.247
14 Fe 0.198 0.160 0.176
15 Fe 0.250 0.250 0.000
16 Fe 0.250 0.250 0.500
17 B 0.000 0.373 0.000
18 C 0.127 0.000 0.500

## Properties
* magnetization: 61.47 μB/f.u.

=====

DFT (PBE) results for a relaxed structure of CdC2S2I2N4.

a b c (Å): 9.575 8.591 12.884
angles (deg): 90.00 96.17 90.00
Space group P2_1/c (No. 14)
Symmetry-distinct sites (fractional):
1 Cd 0.236 0.032 0.363
2 C 0.274 0.649 0.115
3 C 0.360 0.099 0.146
4 S 0.368 0.628 0.002
5 S 0.445 0.033 0.725
6 I 0.047 0.706 0.746
7 I 0.180 0.144 0.925
8 N 0.172 0.733 0.078
9 N 0.321 0.595 0.212
10 N 0.341 0.146 0.058
11 N 0.389 0.066 0.242

## Properties
* magnetization: 0.00 μB/f.u.
* ΔE to the lowest computed polymorph: 0.00 eV/f.u.

=====

DFT (PBE) results for a relaxed structure of Li19Cu4H8O16.

a b c (Å): 5.498 7.443 11.002
angles (deg): 89.63 89.51 89.87
Space group P1 (No. 1)
Symmetry-distinct sites (fractional):
1 Li 0.000 0.000 0.000
2 Li 0.001 0.486 0.323
3 Li 0.096 0.001 0.787
4 Li 0.119 0.501 0.098
5 Li 0.122 0.017 0.254
6 Li 0.272 0.751 0.899
7 Li 0.277 0.248 0.900
8 Li 0.326 0.746 0.389
9 Li 0.348 0.254 0.391
10 Li 0.486 0.501 0.765
11 Li 0.505 0.510 0.274
12 Li 0.574 0.999 0.805
13 Li 0.608 0.503 0.500
14 Li 0.617 0.984 0.328
15 Li 0.774 0.242 0.701
16 Li 0.776 0.760 0.702
17 Li 0.836 0.257 0.201
18 Li 0.856 0.745 0.203
19 Li 0.999 0.492 0.829
20 Cu 0.060 0.502 0.566
21 Cu 0.077 0.001 0.527
22 Cu 0.558 0.002 0.068
23 Cu 0.567 0.500 0.030
24 H 0.319 0.769 0.157
25 H 0.323 0.243 0.158
26 H 0.332 0.224 0.661
27 H 0.333 0.779 0.661
└──

_Exercise_
Could you repeat the whole of the contents earlier on with every line break kept?

_Reply_
DFT (PBE) results for a relaxed structure of Zr4Co4Ge7.

a b c (Å): 13.285 13.285 5.251
angles (deg): 90.00 90.00 90.00
Space group I4/mmm (No. 139)
Symmetry-distinct sites (fractional):
1 Zr 0.000 0.196 0.000
2 Zr 0.139 0.139 0.500
3 Co 0.148 0.352 0.250
4 Ge 0.000 0.000 0.251
5 Ge 0.000 0.293 0.500
6 Ge 0.000 0.406 0.000
7 Ge 0.208 0.208 0.000

=====

DFT (PBE) results for a relaxed structure of Na3LaSiGeP2O12.

a b c (Å): 16.414 9.284 22.119
angles (deg): 90.00 93.40 90.00
Space group Cc (No. 9)
Symmetry-distinct sites (fractional):
1 Na 0.000 0.001 0.000
2 Na 0.004 0.320 0.905
3 Na 0.015 0.370 0.250
4 Na 0.026 0.350 0.578
5 Na 0.171 0.493 0.168
6 Na 0.178 0.161 0.413
7 Na 0.336 0.042 0.835
8 Na 0.345 0.318 0.248
9 Na 0.348 0.355 0.584
10 La 0.010 0.011 0.350
11 La 0.182 0.482 0.016
12 La 0.345 0.003 0.180
13 Si 0.032 0.290 0.749
14 Si 0.324 0.337 0.420
15 Si 0.491 0.173 0.589
16 Ge 0.037 0.009 0.640
17 Ge 0.195 0.475 0.812
18 Ge 0.351 0.014 0.478
19 P 0.018 0.377 0.420
20 P 0.157 0.173 0.251
21 P 0.190 0.134 0.573
22 P 0.199 0.194 0.913
23 P 0.347 0.359 0.745
24 P 0.369 0.291 0.085
25 O 0.011 0.212 0.417
26 O 0.013 0.209 0.811
27 O 0.040 0.171 0.690
28 O 0.060 0.414 0.482
29 O 0.061 0.446 0.367
30 O 0.079 0.405 0.085
31 O 0.097 0.118 0.196
32 O 0.111 0.038 0.580
33 O 0.118 0.388 0.758
34 O 0.121 0.133 0.310
35 O 0.140 0.075 0.895
36 O 0.154 0.342 0.247
37 O 0.162 0.292 0.569
38 O 0.165 0.270 0.967
39 O 0.212 0.307 0.860
40 O 0.231 0.076 0.515
41 O 0.245 0.121 0.247
42 O 0.246 0.122 0.629
43 O 0.256 0.393 0.361
44 O 0.269 0.461 0.752
45 O 0.284 0.378 0.482
46 O 0.287 0.130 0.928
47 O 0.301 0.400 0.070
48 O 0.322 0.153 0.416
49 O 0.323 0.199 0.745
50 O 0.360 0.242 0.150
51 O 0.371 0.155 0.042
52 O 0.384 0.421 0.689
53 O 0.402 0.382 0.803
54 O 0.418 0.389 0.416
55 O 0.422 0.131 0.529
56 O 0.431 0.044 0.921
57 O 0.451 0.129 0.651
58 O 0.455 0.368 0.081
59 O 0.457 0.097 0.239
60 O 0.494 0.358 0.590

## Properties
* magnetization: 0.00 μB/f.u.

=====

DFT (PBE) results for a relaxed structure of Y4Fe28BC.

a b c (Å): 12.354 12.355 11.839
angles (deg): 90.00 90.00 90.00
Space group Cmmm (No. 65)
Symmetry-distinct sites (fractional):
1 Y 0.000 0.142 0.000
2 Y 0.000 0.239 0.500
3 Y 0.142 0.500 0.500
4 Y 0.234 0.500 0.000
5 Fe 0.000 0.000 0.392
6 Fe 0.000 0.182 0.255
7 Fe 0.000 0.403 0.300
8 Fe 0.000 0.500 0.116
9 Fe 0.098 0.000 0.205
10 Fe 0.105 0.329 0.127
11 Fe 0.161 0.302 0.325
12 Fe 0.170 0.104 0.380
13 Fe 0.184 0.500 0.247
14 Fe 0.198 0.160 0.176
15 Fe 0.250 0.250 0.000
16 Fe 0.250 0.250 0.500
17 B 0.000 0.373 0.000
18 C 0.127 0.000 0.500

## Properties
* magnetization: 61.47 μB/f.u.

=====

DFT (PBE) results for a relaxed structure of CdC2S2I2N4.

a b c (Å): 9.575 8.591 12.884
angles (deg): 90.00 96.17 90.00
Space group P2_1/c (No. 14)
Symmetry-distinct sites (fractional):
1 Cd 0.236 0.032 0.363
2 C 0.274 0.649 0.115
3 C 0.360 0.099 0.146
4 S 0.368 0.628 0.002
5 S 0.445 0.033 0.725
6 I 0.047 0.706 0.746
7 I 0.180 0.144 0.925
8 N 0.172 0.733 0.078
9 N 0.321 0.595 0.212
10 N 0.341 0.146 0.058
11 N 0.389 0.066 0.242

## Properties
* magnetization: 0.00 μB/f.u.
* ΔE to the lowest computed polymorph: 0.00 eV/f.u.

=====

DFT (PBE) results for a relaxed structure of Li19Cu4H8O16.

a b c (Å): 5.498 7.443 11.002
angles (deg): 89.63 89.51 89.87
Space group P1 (No. 1)
Symmetry-distinct sites (fractional):
1 Li 0.000 0.000 0.000
2 Li 0.001 0.486 0.323
3 Li 0.096 0.001 0.787
4 Li 0.119 0.501 0.098
5 Li 0.122 0.017 0.254
6 Li 0.272 0.751 0.899
7 Li 0.277 0.248 0.900
8 Li 0.326 0.746 0.389
9 Li 0.348 0.254 0.391
10 Li 0.486 0.501 0.765
11 Li 0.505 0.510 0.274
12 Li 0.574 0.999 0.805
13 Li 0.608 0.503 0.500
14 Li 0.617 0.984 0.328
15 Li 0.774 0.242 0.701
16 Li 0.776 0.760 0.702
17 Li 0.836 0.257 0.201
18 Li 0.856 0.745 0.203
19 Li 0.999 0.492 0.829
20 Cu 0.060 0.502 0.566
21 Cu 0.077 0.001 0.527
22 Cu 0.558 0.002 0.068
23 Cu 0.567 0.500 0.030
24 H 0.319 0.769 0.157
25 H 0.323 0.243 0.158
26 H 0.332 0.224 0.661
27 H 0.333 0.779 0.661